The Point Is To Build Something
Years ago, Yahoo offered to buy Facebook for $1 Billion. Now, this was a scant few years since the business was started in Mark Zuckerberg’s college dorm room and certainly well before Facebook became the colossus it is now. And so, at the time, $1 Billion was a pretty amazing offer.
Zuck said no.
Now, in hindsight, he made the right decision. Since then, by any stretch of the imagination, the company has done incredibly well from a business and financial point of view. (I’m not getting into the debate here as to whether Facebook has been a net good or bad here - that’s a separate conversation.)
But, at the time, the decision was NOT a no brainer. Forget the mental machinations of Zuckerberg and the Facebook board at the time, put yourself in those shoes.
You’ve conceived of a business idea, decided to go all in and build that idea - from scratch - and, in a handful of years, achieved material success. A great company, happy customers and a revenue model that makes a whole heck of a lot of sense. Then, someone comes along and says, you’ve done a great job, I’d love to take this business off your hands and here’s a check for a cool Billion.
Do you take the money? Or do you say no?
If you decided to take the money, no one would blame you. You’d rightfully be proclaimed a business success and you’d be financially set (as would multiple successive generations of your family). So if you took the cash, no one could say it didn’t make sense.
So why wouldn’t you take the money? Why didn’t Zuckerberg?
Molecular data, kept here for reference =
********
(1)
********
End of the molecular data =
Well, their perspective was that the Facebook story hadn’t been fully told yet. There was still plenty of work to be done, plenty of value to deliver and plenty of it to still capture. Selling at that point would mean handing that vision, that story over to someone else, and possibly someone who was no better equipped to tell that story than the Facebook team themselves.
In other words, they believed they were building something and the driving force behind their work was not the money on offer, but rather the work to be done, the story to be told.
The point is, being motivated by money (alone) cannot be the sole driver of what we do. That’s not how we (most of us, anyway) are wired. Most us are wired (motivated/want) to do something, to build something bigger than ourselves, to leave a mark of some sort.
That doesn’t have to be building a billion dollar business, it doesn’t even have to mean becoming an entrepreneur.
But it does mean contributing to a story that actually has some meaning to us, on a level beyond the simple dollar.
The point is, always, to build something.
(To be clear, on the To Sell or Not To Sell question, there isn’t necessarily a right answer, by the way. There are too many variables at play to suggest that there could be. That choice can only be yours.)